- - -
VASP calculation (GGA-PBE) on a geometry-optimized Ca2TmAgTe4 structure.

Results
For the total energy, the calculation gives -33.5 eV/cell. For the magnetization, the calculation gives 0.00 μB per cell. The formation energy (no corrections) is -1.199 eV/atom.

Cell: 4.4299 7.7116 7.6413 Å, 109.79 90.00 90.00°
Fractional positions:
Ca 0.5000 0.0000 0.5000
Ca 0.0000 0.5000 0.5000
Tm 0.5000 0.5000 0.0000
Ag 0.0000 0.0000 0.0000
Te 0.5000 0.2463 0.2336
Te 0.5000 0.7537 0.7664
Te 0.0000 0.2586 0.7591
Te 0.0000 0.7414 0.2409
- - -

Filter the notes above: keep the lines with the word "Ca".

Ca 0.5000 0.0000 0.5000
Ca 0.0000 0.5000 0.5000